File
-- begin --
Entry 1:
# C32H43BrN12S2Sr

C32H43BrN12S2Sr as an isolated structure at a distorted geometry (ωB97M-V/def2-TZVPD, the OMol25 dataset).

XYZ file:
```
91
C32H43BrN12S2Sr (ωB97M-V/def2-TZVPD)
Sr 0.336 -0.106 -0.230
Br 3.182 -1.987 -0.966
C 4.254 -0.510 -1.649
C 5.561 -0.856 -1.919
C 6.508 0.127 -2.316
C 6.147 1.439 -2.448
C 4.837 1.853 -2.264
C 4.475 3.250 -2.184
C 3.121 3.571 -2.120
C 2.123 2.598 -1.958
C 2.496 1.254 -1.851
C 3.788 0.807 -1.912
H 5.937 -1.848 -1.691
H 7.511 -0.196 -2.506
H 6.945 2.156 -2.661
H 5.220 4.029 -2.426
H 2.799 4.631 -2.100
H 1.061 2.876 -2.001
N 1.143 -1.801 2.144
C 2.414 -2.205 2.707
C 3.070 -1.083 3.529
C 3.232 0.214 2.704
C 2.042 1.207 2.758
N 1.580 1.575 1.468
H 0.607 -1.314 2.893
H 0.646 -2.648 1.872
H 3.028 -2.550 1.835
H 2.329 -3.049 3.365
H 4.039 -1.464 3.844
H 2.408 -0.903 4.392
H 3.429 -0.054 1.638
H 4.172 0.705 3.048
H 2.339 2.107 3.418
H 1.134 0.807 3.219
H 2.339 2.008 0.943
H 0.833 2.288 1.473
N 1.418 -0.200 -3.813
C 0.863 -1.413 -3.577
N 1.030 -2.368 -4.511
C 0.465 -3.575 -4.200
N 0.718 -4.605 -5.071
N -0.355 -3.791 -3.160
C -0.483 -2.761 -2.320
N 0.229 -1.632 -2.438
C -1.377 -3.045 -1.199
C -2.234 -4.201 -1.086
C -3.248 -4.257 -0.159
C -3.350 -3.285 0.823
C -2.408 -2.305 0.757
N -1.510 -2.147 -0.231
H 2.113 -0.255 -4.532
H 1.676 0.328 -2.929
H 1.206 -4.361 -5.928
H 0.152 -5.440 -4.971
H -2.124 -5.119 -1.693
H -3.932 -5.099 -0.208
H -4.106 -3.214 1.621
H -2.322 -1.542 1.567
C -4.076 0.034 -1.628
N -4.416 1.472 -1.779
C -5.697 1.631 -2.459
C -3.319 2.293 -1.831
S -1.778 1.759 -2.343
N -3.435 3.567 -1.361
C -4.584 4.094 -0.651
C -2.453 4.625 -1.558
H -4.976 -0.520 -1.576
H -3.461 -0.164 -0.740
H -3.536 -0.261 -2.532
H -5.838 0.851 -3.271
H -5.742 2.623 -2.915
H -6.483 1.697 -1.692
H -5.241 3.345 -0.133
H -5.188 4.642 -1.395
H -4.261 4.846 0.055
H -1.579 4.273 -2.106
H -2.175 5.055 -0.589
H -2.932 5.438 -2.207
C 0.224 -1.127 6.037
C -0.974 -0.543 5.398
C -2.164 -0.251 6.075
C -3.177 0.359 5.390
N -3.049 0.546 4.091
C -1.902 0.225 3.487
S -1.806 0.765 1.795
N -0.862 -0.374 4.070
H 1.015 -0.339 6.102
H 0.682 -1.979 5.497
H 0.015 -1.361 7.088
H -2.219 -0.556 7.126
H -4.119 0.696 5.762
```

energy	-144314.0671	eV
molecular weight	827.44	g/mol
HOMO	-6.9	eV

Charges obtained by Löwdin population analysis, quoted in units of e: 1.021 0.787 -0.541 -0.147 -0.086 -0.076 -0.141 -0.042 -0.111 -0.146 -0.232 -0.242 0.088 0.093 0.114 0.108 0.100 0.058 -0.020 -0.316 -0.182 -0.171 -0.305 -0.106 0.038 0.072 0.067 0.092 0.106 0.082 0.099 0.110 0.132 0.071 0.074 0.071 0.164 -0.496 0.170 -0.415 0.140 0.166 -0.289 0.052 -0.193 -0.001 -0.072 -0.047 -0.187 0.035 0.101 -0.004 0.104 0.100 0.114 0.110 0.124 0.030 -0.102 -0.210 -0.065 -0.726 0.620 -0.206 -0.061 -0.087 0.069 0.051 0.061 0.113 0.081 0.088 0.110 0.090 0.078 0.028 0.093 0.114 -0.046 -0.332 -0.036 -0.144 0.028 -0.818 0.451 0.067 0.094 0.084 0.076 0.106 0.101

***

Entry 2:
# C32H43BrN2P2Ti

C32H43BrN2P2Ti as an isolated structure at a distorted geometry (ωB97M-V/def2-TZVPD, the OMol25 dataset).

XYZ file:
```
81
C32H43BrN2P2Ti (ωB97M-V/def2-TZVPD)
C 3.303 -5.890 -3.631
C 2.043 -5.381 -4.086
C 1.614 -5.911 -5.325
C 2.550 -6.503 -6.174
N 3.798 -6.792 -5.806
C 4.156 -6.506 -4.558
C 1.256 -4.369 -3.448
C 0.652 -3.289 -3.098
C 1.153 -1.889 -3.031
C 1.454 -1.574 -1.665
C 2.394 -0.539 -1.428
C 2.352 0.574 -2.233
C 1.895 0.412 -3.563
C 1.379 -0.845 -3.975
Ti -0.496 -1.760 -1.968
P -1.975 -2.459 0.137
H 0.582 -5.806 -5.643
H 3.645 -5.774 -2.595
H 2.282 -6.753 -7.200
H 5.180 -6.776 -4.296
H 1.254 -1.043 -5.018
H 1.097 -2.437 -0.911
H 2.051 1.234 -4.247
H 3.133 -0.586 -0.604
C -2.850 -0.941 0.797
C -4.340 -1.131 1.043
H -2.674 -0.113 0.090
H -2.309 -0.605 1.705
H -4.720 -0.246 1.562
H -4.890 -1.220 0.098
H -4.529 -2.003 1.674
C -2.973 -3.467 -1.063
C -2.611 -4.963 -1.090
H -2.796 -3.091 -2.089
H -4.035 -3.287 -0.844
H -3.072 -5.402 -1.983
H -1.517 -5.098 -1.174
H -2.985 -5.506 -0.213
C -1.668 -3.503 1.603
C -2.917 -3.714 2.443
H -0.859 -3.015 2.167
-- stop --
Activity
Copy the lines above up to the one that holds "-4.106 -3.214", that line included, please.
Here it is
Entry 1:
# C32H43BrN12S2Sr

C32H43BrN12S2Sr as an isolated structure at a distorted geometry (ωB97M-V/def2-TZVPD, the OMol25 dataset).

XYZ file:
```
91
C32H43BrN12S2Sr (ωB97M-V/def2-TZVPD)
Sr 0.336 -0.106 -0.230
Br 3.182 -1.987 -0.966
C 4.254 -0.510 -1.649
C 5.561 -0.856 -1.919
C 6.508 0.127 -2.316
C 6.147 1.439 -2.448
C 4.837 1.853 -2.264
C 4.475 3.250 -2.184
C 3.121 3.571 -2.120
C 2.123 2.598 -1.958
C 2.496 1.254 -1.851
C 3.788 0.807 -1.912
H 5.937 -1.848 -1.691
H 7.511 -0.196 -2.506
H 6.945 2.156 -2.661
H 5.220 4.029 -2.426
H 2.799 4.631 -2.100
H 1.061 2.876 -2.001
N 1.143 -1.801 2.144
C 2.414 -2.205 2.707
C 3.070 -1.083 3.529
C 3.232 0.214 2.704
C 2.042 1.207 2.758
N 1.580 1.575 1.468
H 0.607 -1.314 2.893
H 0.646 -2.648 1.872
H 3.028 -2.550 1.835
H 2.329 -3.049 3.365
H 4.039 -1.464 3.844
H 2.408 -0.903 4.392
H 3.429 -0.054 1.638
H 4.172 0.705 3.048
H 2.339 2.107 3.418
H 1.134 0.807 3.219
H 2.339 2.008 0.943
H 0.833 2.288 1.473
N 1.418 -0.200 -3.813
C 0.863 -1.413 -3.577
N 1.030 -2.368 -4.511
C 0.465 -3.575 -4.200
N 0.718 -4.605 -5.071
N -0.355 -3.791 -3.160
C -0.483 -2.761 -2.320
N 0.229 -1.632 -2.438
C -1.377 -3.045 -1.199
C -2.234 -4.201 -1.086
C -3.248 -4.257 -0.159
C -3.350 -3.285 0.823
C -2.408 -2.305 0.757
N -1.510 -2.147 -0.231
H 2.113 -0.255 -4.532
H 1.676 0.328 -2.929
H 1.206 -4.361 -5.928
H 0.152 -5.440 -4.971
H -2.124 -5.119 -1.693
H -3.932 -5.099 -0.208
H -4.106 -3.214 1.621